Green Lantern Lore Changes Forever with a Brand-New Corps

Green Lantern Lore Changes Forever with a Brand-New Corps

Warning! Spoilers ahead for Green Lantern #7!The Green Lantern mythology expands as a new ‘corps’ makes its official debut in the DC Universe. Korg, a wayward Korugarian has been holding onto the belief that he’s secretly Thaal Sinestro’s son. After months of taking abuse from his caretaker, Korg rises up to take a new name and forge his destiny with a corps of his own.

In Green Lantern #7’s backup story “Wayward Son Part Four” by Peter J. Tomasi and David Lafuente, Sinestro’s possible son Korg is reprimanded by his caretaker Nagaf for building a rocket to escape and continue Korg’s search for Sinestro. To crush Korg’s spirit, Nagaf has the boy’s rocket destroyed.

Green Lantern Lore Changes Forever with a Brand-New Corps

However, Korg manages to turn his fellow orphans against Nagaf by showing them that Nagaf has been stealing from them. Korg leads a successful rebellion that ends with the orphans selecting Korg, now calling himself Sinson, as their new leader. Freed from their oppressor, Sinson prepares his new corps for their next mission.

Sinestro’s Son Has Founded the Latest DC Universe’s Latest Corps

Korg Becomes Sinson and Founds a Corps DC

While Sinestro has been stuck on Earth after a devastating attack on Korugar, elsewhere in the galaxy, a young boy has been idolizing the fallen Green Lantern. Korg is a young Korugarian who believes that he’s Sinestro’s son, though he lacks any evidence to prove it. Korg wanted nothing more than to leave his troupe of orphans behind and follow in his supposed father’s footsteps. Unfortunately, his caretaker Nagaf refused to entertain Korg’s notions and kept him around to steal and salvage whatever he could from others. But all the while, Korg never let go of his dream of being just like Thaal Sinestro.

Unfortunately for Sinson, there’s no way to tell for certain that he’s Sinestro’s son. Sinestro is lightyears away and likely isn’t even aware that Sinson exists. But Sinson looks up to Sinestro and wants to be just like him. Like Sinestro, Sinson rebelled at authority that he believed was oppressive and has the ability to inspire others. While most Corps in the rest of the DC Universe all center around one of the lights of the Emotional Spectrum, Sinson’s new crew doesn’t have any form of firepower to their name. However, they do have the leadership of someone who’s just as determined as one of the most infamous villains in DC history.

Sinson’s Ambition is About to Change the DC Universe

~~~
--- i ---
Entry from the Alexandria database: Ba2TaFe after structural relaxation (PBEsol).

Structure (CIF):
```
data_Ba2TaFe
_cell_length_a 7.633
_cell_length_b 7.633
_cell_length_c 7.633
_cell_angle_alpha 90.00
_cell_angle_beta 90.00
_cell_angle_gamma 90.00
_symmetry_space_group_name_H-M 'F m -3 m'
_symmetry_Int_Tables_number 225
_symmetry_space_group_name_Hall '-F 4 2 3'
loop_
_atom_site_label
_atom_site_type_symbol
_atom_site_fract_x
_atom_site_fract_y
_atom_site_fract_z
_atom_site_occupancy
Ba1 Ba 0.250 0.250 0.250 1
Ta1 Ta 0.000 0.000 0.000 1
Fe1 Fe 0.000 0.000 0.500 1
```

Values from the calculation:
- Fermi-level density of states (states/eV/f.u.) = 8.3

=====

--- ii ---
Entry from the Alexandria database: Ba2TaFe after structural relaxation (PBEsol).

Structure (CIF):
```
data_Ba2TaFe
_cell_length_a 4.477
_cell_length_b 4.477
_cell_length_c 10.360
_cell_angle_alpha 90.00
_cell_angle_beta 90.00
_cell_angle_gamma 90.00
_symmetry_space_group_name_H-M 'I 4/m m m'
_symmetry_Int_Tables_number 139
_symmetry_space_group_name_Hall '-I 4 2'
loop_
_atom_site_label
_atom_site_type_symbol
_atom_site_fract_x
_atom_site_fract_y
_atom_site_fract_z
_atom_site_occupancy
Ba1 Ba 0.000 0.500 0.250 1
Ta1 Ta 0.000 0.000 0.000 1
Fe1 Fe 0.000 0.000 0.500 1
```

Values from the calculation:
- Fermi-level density of states (states/eV/f.u.) = 6.5

=====

--- iii ---
Entry from the Alexandria database: Ba2TaFe after structural relaxation (PBEsol).

Structure (CIF):
```
data_Ba2TaFe
_cell_length_a 3.3312
_cell_length_b 3.3312
_cell_length_c 32.3523
_cell_angle_alpha 90.00
_cell_angle_beta 90.00
_cell_angle_gamma 120.00
_symmetry_space_group_name_H-M 'R -3 m'
_symmetry_Int_Tables_number 166
_symmetry_space_group_name_Hall '-R 3 2"'
loop_
_atom_site_label
_atom_site_type_symbol
_atom_site_fract_x
_atom_site_fract_y
_atom_site_fract_z
_atom_site_occupancy
Ba1 Ba 0.0000 0.0000 0.2458 1
Ta1 Ta 0.0000 0.0000 0.0000 1
Fe1 Fe 0.0000 0.0000 0.5000 1
```

Values from the calculation:
- Fermi-level density of states (states/eV/f.u.) = 5.7

=====

Name the most stable of them. iii.

=====

--- i ---
Entry from the Alexandria database: Ba2TaFe after structural relaxation (PBEsol).

Structure (CIF):
```
data_Ba2TaFe
_cell_length_a 4.427
_cell_length_b 4.427
_cell_length_c 5.249
_cell_angle_alpha 90.00
_cell_angle_beta 90.00
_cell_angle_gamma 90.00
_symmetry_space_group_name_H-M 'P 4/m m m'
_symmetry_Int_Tables_number 123
_symmetry_space_group_name_Hall '-P 4 2'
loop_
_atom_site_label
_atom_site_type_symbol
_atom_site_fract_x
_atom_site_fract_y
_atom_site_fract_z
_atom_site_occupancy
Ba1 Ba 0.000 0.500 0.000 1
Ta1 Ta 0.000 0.000 0.500 1
Fe1 Fe 0.500 0.500 0.500 1
```

Values from the calculation:
- Fermi-level density of states (states/eV/f.u.) = 5.8

=====

--- ii ---
Entry from the Alexandria database: Ba2TaFe after structural relaxation (PBEsol).

Structure (CIF):
```
data_Ba2TaFe
_cell_length_a 6.503
_cell_length_b 10.044
_cell_length_c 3.203
_cell_angle_alpha 90.00
~~~


Thanks to recent DC news, it’s known that Sinson is about to team up with Lor-Zod, the son of Superman’s Kryptonian nemesis General Zod. Sinson might not have a light to wield, but he will have a Superboy-level ally by his side, which is just as good, if not better than the Yellow Light of Fear. As Sinson sets out to follow in his role model’s footsteps, he’s already displayed one of the best qualities Sinestro has: His ability to lead others. He might be young, but Sinson’s determination and his new corps might just wind up leaving a huge imprint on the Green Lantern mythology.

Green Lantern #7 is on sale now.